stats chapter 2

relative frequency distributions are generally more useful than frequency distributions when

comparing data sets of the same size

when constructing classes for frequency distribution of quantitative data, which of the following principles should generally be followed

In general, the classes should be the same width.
The classes should be mutually exclusive. data should only fit in one class
The classes should be exhaustive

graphical tool best used to display the relative frequency of grouped, quantitative data


stem and leaf diagrams can be used to

Determine how dispersed the data is.
Analyze the shape of the data
Observe individual data points

one method of graphical presentation for qualitative data is a

pie chart

when a researcher examines quantitative data and wants to know the number of observations that fall below the upper limit of a particular class, the researcher is best served by creating a ____

cumulative frequency distribution

there are several guidelines to follow when constructing graphs that summarizes statistical data. Which statement is LEAST accurate

graphs should have a lot of adornments

histograms can be used to

Determine the shape of the data.
Observe the spread or the variability of the data

bar chart, which is most accurate

a bar chart is a useful graphical tool for qualitative data

new dining plan. residents were asked to give a grade of A, B, C, D, F to the new plan. Of 482 residents, 234-A, 148-B, 87-C, 9-D. How many F's


cumulative relative frequency distribution for qualitative data identifies the

proportion of observations that fall below the upper limit of each class

an ogive is a graph that plots the cumulative frequency, or cumulative relative freq, against the

upper limit of the corresponding class

in descriptive stats, a polygon is a

graph that plots the midpoints of each class of a frequency distribution

to summarize qualitative data, a useful tool is a

frequency distribution

in order to approximate class width for a frequency distribution of quantitative data, we calculate:

(largest value - smallest) / n

which graphical depictions are useful to observe the shape of a data set for a single variable

stem and leaf

new dining plan. 480 residents.
234: B
85: C
13: D
4: F
proportion of grades designated as A were


stem and leaf. Stem consists of the ___ and the leaf consists of the ___

leftmost digits; last digit

relative frequency distribution for quantitative data identifies the

proportion of observations that occur in each class

least accurate

the height of each rectangle represents cumulative frequency or cumulative relative frequency

how does an ogive differ from a polygon?

ogive is a graph of a cumulative (relative) frequency distribution, while a polygon is a graph of a (relative) frequency distribution

based on the pictured histogram (going down from left to right), the distribution is

positively skewed, skewed right

a ____ is a way to organize qualitative data into categories and record the number of observations in each category

frequency distribution

exam to 50 students. High was 98, low was 48. Frequency distribution is divided into 5 classes. Class width for the data is

10 points

-- Someone pasted records of crystals at this point --
- - -
1.
DFT (PBE with a Hubbard U) results for CaMo2O6 after structural relaxation.

Cell and atoms, written as CIF:
```
data_CaMo2O6
_chemical_formula_sum 'Ca2 Mo4 O12'
_cell_length_a 5.566
_cell_length_b 5.461
_cell_length_c 9.456
_cell_angle_alpha 55.15
_cell_angle_beta 90.00
_cell_angle_gamma 90.00
_space_group_name_H-M_alt 'P 1'
_space_group_IT_number 1
_space_group_name_Hall 'P 1'
loop_
_atom_site_label
_atom_site_type_symbol
_atom_site_fract_x
_atom_site_fract_y
_atom_site_fract_z
Ca1 Ca 0.702 0.759 0.752
Ca2 Ca 0.298 0.759 0.252
Mo1 Mo 0.241 0.498 0.998
Mo2 Mo 0.753 0.001 0.999
Mo3 Mo 0.759 0.498 0.498
Mo4 Mo 0.247 0.001 0.499
O1 O 0.964 0.155 0.543
O2 O 0.048 0.748 0.456
O3 O 0.478 0.820 0.969
O4 O 0.532 0.249 0.033
O5 O 0.522 0.820 0.469
O6 O 0.468 0.249 0.533
O7 O 0.036 0.155 0.043
O8 O 0.952 0.748 0.956
O9 O 0.769 0.334 0.745
O10 O 0.231 0.334 0.245
O11 O 0.268 0.686 0.756
O12 O 0.732 0.686 0.256
```

SG: Pc (7)
Volume, Å³ per cell: 235.8
Spin magnetization, μB per formula unit: 0.00

2.
DFT (PBE with a Hubbard U) results for CaMo2O6 after structural relaxation.

Cell and atoms, written as CIF:
```
data_CaMo2O6
_chemical_formula_sum 'Ca2 Mo4 O12'
_cell_length_a 5.450
_cell_length_b 5.520
_cell_length_c 7.787
_cell_angle_alpha 89.99
_cell_angle_beta 90.00
_cell_angle_gamma 89.95
_space_group_name_H-M_alt 'P 1'
_space_group_IT_number 1
_space_group_name_Hall 'P 1'
loop_
_atom_site_label
_atom_site_type_symbol
_atom_site_fract_x
_atom_site_fract_y
_atom_site_fract_z
Ca1 Ca 0.507 0.543 0.250
Ca2 Ca 0.008 0.956 0.750
Mo1 Mo 0.501 0.004 0.000
Mo2 Mo 0.000 0.496 0.000
Mo3 Mo 0.001 0.496 0.500
Mo4 Mo 0.501 0.004 0.500
O1 O 0.714 0.287 0.468
O2 O 0.214 0.213 0.532
O3 O 0.779 0.778 0.024
O4 O 0.279 0.722 0.976
O5 O 0.279 0.722 0.524
O6 O 0.779 0.778 0.476
O7 O 0.214 0.213 0.969
O8 O 0.713 0.287 0.031
O9 O 0.063 0.490 0.250
O10 O 0.563 0.009 0.750
O11 O 0.453 0.993 0.250
O12 O 0.953 0.508 0.750
```

SG: Pm (6)
Volume, Å³ per cell: 234.3
Spin magnetization, μB per formula unit: 2.00

Energies in meV per atom, measured from the most stable structure: 1 37; 2 0.


DFT (PBE) results for LuB4 after structural relaxation.

a = 7.0269 Å, b = 7.0269 Å, c = 3.9682 Å
α = 90.00°, β = 90.00°, γ = 90.00°
Sites, in units of the cell vectors:
B  0.0000  0.0000  0.7976
B  0.9134  0.4134  0.5000
B  0.3229  0.5385  0.5000
B  0.4134  0.0866  0.5000
B  0.8229  0.9615  0.5000
B  0.5000  0.5000  0.2024
Lu  0.3183  0.8183  0.0000
Lu  0.8183  0.6817  0.0000
B  0.0866  0.5866  0.5000
B  0.1771  0.0385  0.5000
B  0.0000  0.0000  0.2024
B  0.0385  0.8229  0.5000
B  0.5866  0.9134  0.5000
Lu  0.1817  0.3183  0.0000
B  0.5000  0.5000  0.7976
Lu  0.6817  0.1817  0.0000
B  0.5385  0.6771  0.5000
B  0.6771  0.4615  0.5000
B  0.4615  0.3229  0.5000
B  0.9615  0.1771  0.5000

Output
E_form: -54 kJ/mol of atoms

=====

DFT (PBE) results for Mg6GaFe after structural relaxation.

a = 4.8686 Å, b = 6.0884 Å, c = 10.5850 Å
α = 90.00°, β = 90.00°, γ = 90.00°
- - -

one of the primary goals of constructing a frequency distribution for quantitative data is to summarize the data

in a manner that accurately depicts the data as a whole

which best describes a frequency distribution for qualitative data

it groups data into categories, and records the number of observations in each category

one method of graphical presentation for qualitative data is

bar chart

when constructing a histogram what values/labels go on the horizontal (x) axis and the vertical (y) axis

quantitative class limits on the horizontal axis; frequency or relative frequency on the vertical axis.

which of the following graphical depictions is used for observing the spread of the data for a single variable


which of the following graphical depictions displays cumulative data
